**Brief**
Filter the listing further below: keep the lines with the word "TlCdIn2Hg5", please.

**File**
____________
Density functional theory data (PBE+U) for a relaxed GaFeCuF6 crystal.

Electronic total energy: -0.17228 hartree per atom
DOS(E_F): 0.727 states/eV/atom

a = 5.339 Å, b = 5.339 Å, c = 9.236 Å
α = 90.00°, β = 90.00°, γ = 120.00°
Each line ends with the local moment (μB).
Sites, in units of the cell vectors:
Ga: 0.667 0.333 0.250  0.00
Ga: 0.333 0.667 0.750  0.00
Fe: 0.333 0.667 0.250  3.76
Fe: 0.667 0.333 0.750  3.76
Cu: 0.000 0.000 0.000  0.11
Cu: 0.000 0.000 0.500  0.11
F: 0.657 0.632 0.135  0.02
F: 0.975 0.343 0.135  0.02
F: 0.343 0.975 0.635  0.02
F: 0.025 0.657 0.865  0.02
F: 0.368 0.343 0.365  0.02
F: 0.975 0.632 0.365  0.02
F: 0.632 0.975 0.865  0.02
F: 0.657 0.025 0.365  0.02
F: 0.025 0.368 0.635  0.02
F: 0.368 0.025 0.135  0.02
F: 0.632 0.657 0.635  0.02
F: 0.343 0.368 0.865  0.02

~~~~~

(1)
Here is crystalline Tl2CdInHg5 at its relaxed geometry from the Alexandria database. Energies are from PBE.

Output
* DOS(E_F): 0.380 states/eV per atom
* E_form: 0.099 eV/f.u.
* volume: 496.7 Å³/cell
* SG: Cmc2_1 (36)
* energy: -9.80 eV per formula unit

abc: 3.6263 9.2526 15.0952
angles: 90.00 90.00 101.30
Closest atoms and distances in Å follow each position.
Atoms (fractional coordinates):
Tl 0.8835 0.7671 0.2163  7 Hg 3.15-3.41, 2 Cd 3.41
In 0.7560 0.5119 0.5369  6 Hg 3.05-3.14
In 0.2440 0.4881 0.0369  6 Hg 3.05-3.14
Hg 0.2893 0.5787 0.7000  1 Hg 3.07, 2 In 3.12, 3 Tl 3.15-3.34
Hg 0.9284 0.8567 0.5321  2 Cd 3.06, 4 Hg 3.09-3.42, 1 In 3.13
Hg 0.4587 0.9173 0.6938  1 Cd 3.05, 4 Hg 3.07-3.35, 2 Tl 3.41
Hg 0.5413 0.0827 0.1938  1 Cd 3.05, 4 Hg 3.07-3.35, 2 Tl 3.41
Tl 0.1277 0.2554 0.3565  7 Hg 3.17-3.43, 2 Cd 3.40
Hg 0.7107 0.4213 0.2000  1 Hg 3.07, 2 In 3.12, 3 Tl 3.15-3.34
Hg 0.5881 0.1762 0.5352  1 In 3.05, 1 Cd 3.21, 4 Tl 3.32-3.33, 1 Hg 3.35
Hg 0.0716 0.1433 0.0321  2 Cd 3.06, 4 Hg 3.09-3.42, 1 In 3.13
Cd 0.5298 0.0597 0.8769  5 Hg 3.05-3.21, 4 Tl 3.40-3.41
Hg 0.6983 0.3965 0.8763  1 Cd 3.06, 2 In 3.14, 3 Tl 3.17-3.36
Tl 0.1165 0.2329 0.7163  7 Hg 3.15-3.41, 2 Cd 3.41
Hg 0.3017 0.6035 0.3763  1 Cd 3.06, 2 In 3.14, 3 Tl 3.17-3.36
Cd 0.4702 0.9403 0.3769  5 Hg 3.05-3.21, 4 Tl 3.40-3.41
Tl 0.8723 0.7446 0.8565  7 Hg 3.17-3.43, 2 Cd 3.40
Hg 0.4119 0.8238 0.0352  1 In 3.05, 1 Cd 3.21, 4 Tl 3.32-3.33, 1 Hg 3.35

=====

(2)
Here is crystalline TlCdIn2Hg5 at its relaxed geometry from the Alexandria database. Energies are from PBE.

Output
* DOS(E_F): 0.386 states/eV per atom
* E_form: 0.145 eV/f.u.
* volume: 484.6 Å³/cell
* SG: Cmc2_1 (36)
* energy: -10.12 eV per formula unit

abc: 3.5849 8.8043 15.6825
angles: 90.00 90.00 101.75
Closest atoms and distances in Å follow each position.
Atoms (fractional coordinates):
Hg 0.9239 0.8478 0.5821  1 Cd 3.12, 6 Hg 3.13-3.49, 2 Tl 3.29, 1 In 3.47
Hg 0.4036 0.8072 0.0634  4 In 3.09-3.11, 1 Cd 3.43
In 0.0796 0.1593 0.7228  7 Hg 3.09-3.40, 2 Tl 3.44
In 0.8765 0.7530 0.9038  5 Hg 3.09-3.13, 2 Cd 3.33
Hg 0.7250 0.4500 0.7982  3 In 3.09-3.30, 2 Hg 3.20, 2 Cd 3.21, 1 Tl 3.41
Hg 0.2750 0.5500 0.2982  3 In 3.09-3.30, 2 Hg 3.20, 2 Cd 3.21, 1 Tl 3.41
Hg 0.2567 0.5134 0.6325  2 Cd 3.16, 7 Hg 3.20-3.49, 1 In 3.36
Cd 0.2245 0.4490 0.9679  6 Hg 3.12-3.43, 2 In 3.33
Hg 0.7433 0.4866 0.1325  2 Cd 3.16, 7 Hg 3.20-3.49, 1 In 3.36
In 0.9204 0.8407 0.2228  7 Hg 3.09-3.40, 2 Tl 3.44
Hg 0.5964 0.1928 0.5634  4 In 3.09-3.11, 1 Cd 3.43
Tl 0.4455 0.8910 0.4080  5 Hg 3.29-3.56, 4 In 3.44-3.55, 2 Cd 3.56, 2 Tl 3.58
Hg 0.0761 0.1522 0.0821  1 Cd 3.12, 6 Hg 3.13-3.49, 2 Tl 3.29, 1 In 3.47
Cd 0.7755 0.5510 0.4679  6 Hg 3.12-3.43, 2 In 3.33
Tl 0.5545 0.1090 0.9080  5 Hg 3.29-3.56, 4 In 3.44-3.55, 2 Cd 3.56, 2 Tl 3.58
In 0.1235 0.2470 0.4038  5 Hg 3.09-3.13, 2 Cd 3.33
Hg 0.5865 0.1731 0.2453  3 Hg 3.13-3.23, 4 In 3.13-3.40
Hg 0.4135 0.8269 0.7453  3 Hg 3.13-3.23, 4 In 3.13-3.40

=====

(3)
Here is crystalline TlCd3In3Hg2 at its relaxed geometry from the Alexandria database. Energies are from PBE.

Output
* DOS(E_F): 0.480 states/eV per atom
* E_form: 0.513 eV/f.u.
* volume: 236.4 Å³/cell
* SG: P-62m (189)
____________

**Here it is**
Here is crystalline TlCdIn2Hg5 at its relaxed geometry from the Alexandria database. Energies are from PBE.